Tuesday, August 25, 2009

About Kim Dea-jung, former Korean President

I remember when I was a kid, and still lived in Korea, that I saw from TV people from North Korea crossing the border to see their relatives in South Korea. They all cried, and some cried harder because their relatives have died or could not be found. I tried to imagine how it would feel if I was separated from my family by some stupid line. Impossible.
As a simple-minded kid, I saw no point on seeing your family if you are only allowed to see them for 5minutes before you are dragged back to your side. But I also saw that those people feel different from me, and they are grateful for the event that Kim Dae-jung provided for them. I became aware of him for the first time. He was the first president of Korea I have become aware of.
At the time I believed that Kim Dae-jung will soon reunite Korea so that I could climb Mt.Kum-gang and hear the North Korean dialect. I worried about who will become the President if the two sides reunited; Kim Dae-jung or Kim Il-sung.
But the excitement soon died away, and as far as I know, Kim Dae-jung could not do anything more about the relationship between North Korea and South Korea. Later I realized that this issue is not as simple as I thought. Nevertheless, I was a little disappointed in Kim Dae-jung.
-Kim Dae-Jung’s Failed Legacy
It was after his death I found out that he has won the Novel Peace Prize, has been kidnapped and survived several assassinations. His Sunshine policy was praised even by President Obama, and surprising amount of awareness was on his death.
-Kim Dae-jung, former South Korean president, dies aged 85
-YouTube - Former South Korean President Kim Dae-Jung dies
Unlike Roh Moo-hyun, a former President of Korea who has killed himself not long ago, Kim Dae-jung has died from respiratory distress, at the age of 85. Both Roh Moo-hyun and Kim Dae-jung were thought to have been great Presidents, and I too, think that they both deserve respect and sorrow from people. Whether they really were great or not, at least they tried to improve Korea.
Here’s Kim Dae-jung’s Biography:
Kim Dae-jung - Biography


  1. Interesting blog - check out:


    This is Dylan's blog on the same subject - it would be good to provide a link to his blog in your sidebar

  2. Hi, You know its funny, i also remember watching that on the news, when they did their first flight from South Korea to North Korea, At the time i didn't know much about the problems with north and south but i knew that that peace was always good and although those people from the North and South only met for a few minutes, for them those few minutes will last a lifetime. the thing i really admired about Kim Dae-Jung is that he always gave it his all and he never gave up

(These calculated molecules were left in the entry by mistake)
........
A 3-piece molecular cluster, C29H40FNO11S3 overall in a non-equilibrium geometry, computed with the ωB97M-V functional and the def2-TZVPD basis.

Summary:
* spin multiplicity: 1
* total charge: 0
* SMILES: CCOC[C@H]1OS(=O)(=O)O[C@@]1(F)CCCSC(=S)N(c1ccccc1)c1ccccc1.CCOC(=O)OC.CCOC(=O)OC
* LUMO energy: -0.0114 hartree

Positions of all 85 atoms, in Å:
C (-2.675, -1.041, 3.336)
C (-1.695, -1.682, 2.364)
O (-1.005, -0.722, 1.571)
C (0.215, -1.229, 1.068)
C (0.570, -0.590, -0.285)
O (-0.101, -1.433, -1.268)
S (-1.501, -0.813, -1.703)
O (-1.703, -0.781, -3.097)
O (-2.564, -1.285, -0.905)
O (-1.141, 0.720, -1.256)
C (0.072, 0.824, -0.597)
F (0.981, 1.250, -1.611)
C (0.227, 1.914, 0.447)
C (-0.210, 3.294, -0.138)
C (-1.288, 4.057, 0.699)
S (-2.873, 4.138, -0.210)
C (-3.836, 2.855, 0.531)
S (-3.111, 1.567, 1.215)
N (-5.285, 2.955, 0.503)
C (-5.766, 2.680, 1.844)
C (-5.531, 3.663, 2.783)
C (-5.893, 3.532, 4.099)
C (-6.553, 2.375, 4.471)
C (-6.799, 1.385, 3.559)
C (-6.390, 1.526, 2.249)
C (-5.875, 2.128, -0.508)
C (-5.142, 1.400, -1.417)
C (-5.759, 0.653, -2.397)
C (-7.123, 0.562, -2.495)
C (-7.866, 1.295, -1.583)
C (-7.255, 2.062, -0.639)
H (-2.968, -1.802, 4.067)
H (-3.589, -0.687, 2.847)
H (-2.223, -0.165, 3.815)
H (-0.938, -2.228, 2.955)
H (-2.218, -2.401, 1.715)
H (0.990, -1.085, 1.838)
H (0.071, -2.301, 0.873)
H (1.645, -0.732, -0.420)
H (1.302, 1.974, 0.652)
H (-0.263, 1.677, 1.393)
H (0.678, 3.932, -0.160)
H (-0.594, 3.151, -1.148)
H (-1.438, 3.664, 1.706)
H (-0.947, 5.092, 0.806)
H (-5.010, 4.569, 2.474)
H (-5.663, 4.319, 4.808)
H (-6.851, 2.251, 5.510)
H (-7.318, 0.489, 3.885)
H (-6.589, 0.733, 1.534)
H (-4.057, 1.403, -1.428)
H (-5.156, 0.110, -3.122)
H (-7.601, -0.048, -3.253)
H (-8.949, 1.229, -1.660)
H (-7.871, 2.626, 0.060)
C (1.925, -2.382, -3.625)
C (2.323, -3.523, -2.715)
O (3.406, -4.282, -3.270)
C (4.615, -3.761, -3.078)
O (4.859, -2.738, -2.487)
O (5.510, -4.557, -3.660)
C (6.859, -4.092, -3.568)
H (1.706, -2.748, -4.629)
H (1.046, -1.873, -3.238)
H (2.731, -1.653, -3.718)
H (1.490, -4.217, -2.606)
H (2.580, -3.167, -1.716)
H (7.134, -3.890, -2.535)
H (6.991, -3.200, -4.179)
H (7.497, -4.883, -3.953)
C (5.553, -1.390, 0.371)
C (6.556, -0.988, -0.689)
O (7.528, -0.072, -0.158)
C (8.529, -0.631, 0.518)
O (8.689, -1.809, 0.710)
O (9.328, 0.345, 0.958)
C (10.430, -0.112, 1.743)
H (5.102, -0.505, 0.825)
H (4.769, -2.007, -0.065)
H (6.035, -1.954, 1.171)
H (6.050, -0.461, -1.495)
H (7.044, -1.855, -1.127)
H (10.999, -0.874, 1.215)
H (10.076, -0.497, 2.699)
H (11.072, 0.746, 1.924)

Force components x, y, z for each atom (eV/Å):
-0.14 0.20 -0.42
0.09 -0.29 0.42
-0.10 0.26 -0.14
-0.57 0.30 0.43
-0.65 -1.37 1.25
-0.35 0.42 -0.70
-0.21 1.33 0.30
0.67 -0.36 -0.66
-0.07 -0.40 0.63
-0.34 -0.57 0.61
1.73 0.41 -0.73
-0.17 -0.15 -0.04
-0.25 0.31 0.06
-0.15 -0.18 1.01
0.44 -0.34 -0.85
-0.92 0.39 0.68
0.71 -0.52 0.34
-0.07 0.32 0.12
0.52 -0.71 -0.06
-0.07 0.66 -0.09
0.69 1.26 -0.20
-0.07 -0.13 0.06
0.00 0.36 1.35
-0.31 -0.55 0.09
-0.34 -0.76 -0.80
........
(Back to the entry)

  3. hi sora
    Please comment me on my new blog as my old blog is not working


  4. Kim really deserves the respect and honour as he tried his best to reunite North Korea and South Korea.Kim had lots of ups and downs in his life but he never gave up.

    Hey I am just wondering why Roh Moo-hyun, a has killed himself?

********
Below is a structure of composition C33H60ClF9LiMgN3NaO11P2S, with properties calculated with ωB97M-V/def2-TZVPD.

Properties
- LUMO: -5.85 eV
- HOMO energy: -8.18 eV
- Charge: +1
- E_tot: -138627.1696 eV

The geometry in XYZ format:
```
123
Properties=species:S:1:pos:R:3:forces:R:3:lowdin_charge:R:1
Cl 2.579841 -4.041282 -1.715423 -0.21 0.11 0.32 0.65
S 4.315668 1.660419 -3.398751 0.54 0.13 0.57 0.39
P 2.594151 2.755011 0.179331 -5.22 -0.35 -0.32 0.96
P 2.657684 0.891104 -2.760741 1.51 0.57 -2.25 0.25
Mg -5.381148 4.153071 -2.613923 -0.90 0.01 -0.13 0.70
Na -4.182527 6.701570 -1.246091 -0.08 -0.12 -0.03 0.49
F -1.208084 1.923648 0.687483 0.50 0.08 0.29 -0.54
F 2.669494 -2.172565 3.169840 0.85 1.73 -0.63 0.12
F 0.978301 -1.621680 4.789417 0.72 -0.35 -0.55 0.13
F 1.796903 1.610855 3.870488 0.38 -0.39 -0.60 0.17
F 3.624502 -5.544973 -5.904979 -0.11 0.39 1.13 -0.48
F -0.181690 -0.216791 3.794496 0.33 0.58 -1.49 0.18
F 3.264249 0.112327 4.521735 -0.05 -0.09 -0.69 0.18
F 0.823877 -2.700981 2.528716 -1.08 1.05 -1.14 0.18
F 1.518502 0.549640 5.678906 0.07 -0.23 -0.18 0.18
O -9.197692 -0.921530 2.722264 0.04 0.15 -0.17 -0.13
O -6.468671 0.878021 -1.100207 0.02 0.23 -0.17 0.02
O 3.079767 3.699625 -1.077168 1.57 0.17 1.47 -0.28
O 1.561375 1.940927 -3.367653 -0.24 -1.40 0.85 -0.21
O 3.388561 -7.937339 -3.806441 0.00 0.55 -0.71 0.12
O 2.524793 -0.516176 -3.598152 -1.18 0.51 0.89 -0.22
O -1.296474 -4.821781 -0.372549 0.37 0.42 -0.05 -0.39
O -2.843086 -1.132684 1.529280 0.61 -0.73 -0.22 -0.14
O 0.689365 -2.700414 -2.852378 0.49 -0.23 1.59 0.06
O 2.972118 3.300156 1.684925 1.49 -0.05 -0.54 -0.25
O 0.674905 6.076408 -0.937119 -0.03 0.23 0.08 -0.14
N 1.908269 -1.100396 1.220367 1.83 -0.42 -0.49 0.01
N 4.316199 -1.859753 1.173247 -0.37 0.82 0.56 0.08
N 2.337147 0.428228 -1.195833 -0.31 -0.43 -0.49 -0.12
C 4.679654 0.935718 -0.150634 0.71 0.49 -0.68 -0.33
C 1.185227 7.135726 -0.134980 0.15 -0.35 -0.15 -0.15
C -3.233300 2.129386 -2.392363 -1.21 0.94 -0.01 -0.10
C -7.338758 0.038968 -1.197852 0.08 -0.08 0.06 -0.50
C -2.367135 1.056798 -2.397816 -0.30 -1.01 -0.41 -0.20
C -3.807040 -1.365354 3.758670 0.40 -0.95 -0.03 -0.06
C -2.950084 -0.277769 -2.844116 -0.41 0.40 0.47 -0.01
C 3.102836 0.878865 -0.029724 2.65 0.94 0.96 -0.42
C -0.595115 -0.672857 0.897281 0.58 -0.20 0.48 -0.09
C 1.097174 -2.915724 -1.752236 -0.64 0.45 -1.79 -0.64
C 5.410519 -0.149664 -0.972387 -0.25 -0.49 -0.28 -0.11
C 6.540374 0.487589 1.710815 0.00 0.98 1.62 -0.23
C -0.673881 2.522747 -1.627695 1.22 -0.44 0.15 -0.08
C 1.063164 -0.698302 3.774122 -1.01 -0.36 2.50 -0.29
C 2.979425 -2.058005 0.715709 1.17 -0.85 -1.15 -0.19
C 0.451466 -2.487452 -0.432319 1.08 -0.90 -0.41 -0.12
C -7.457956 -1.082971 -0.202835 0.23 0.20 0.07 -0.01
C -8.346710 0.075166 -2.320332 0.18 0.26 -0.07 -0.02
C -1.521675 -1.717871 1.501709 -1.15 -0.18 0.84 -0.18
C 2.559639 0.266662 1.282720 -1.40 1.05 0.28 -0.06
C -1.529567 3.580313 -1.639832 -0.61 1.39 0.01 -0.07
C 1.970887 0.408061 4.426613 -0.62 0.96 1.22 -0.53
********

  5. Yes, He should be praised. He had made a number of positive attempts to solve the conflicts.

  6. Ro moo-hyun killed himself out of depression, because people were accusing him of bad acts such as receiving illegal money etc.

  7. I cannot really comment beacause i don't know this guy, however, was he found quilty or did he die before that?
